hehe..now at school..diin der survey..
Wednesday, September 28, 2005
hehe..mm..mii now at school..jus fiiniish doiin der school survey ler.thn use der com tu create post lor..hahas..yesterdae,,mm,,mii and mahh brother quarrel lor..becos of der com..haii..iim jus wonderiin why he shoo liike tu play der game..ii wan tu use..oso cannot use der lor..ii always use yen miinutes thn giib hiim use..thn ii oso cannot chat wiit mahh frewns lor..ii use one dae oso not more thn he use a week lor..of course ii wiill angry la..iif others..whu wiill not angry der..haii..but too bad lor..he iish mahh onlii der brother..always mus let hiim..whu ask mii iish hiis jiie...
2:13 PM
haii..hab gastriic agaiin
Monday, September 26, 2005
yesterdae..hab fun..thn ferget tu eat diinner..thn todae morniin gastriic..but thn yesterdae ii oso nt hungry thn ii nebber eat mars..thn why morniin wiill hab gastriic der..hate mahh stomach leh..why other ppl seldom liike thiis..but ii am always liike thiis..born wiit thiis type of stomach realii berrii der ''xiin ku''..haii..but oso no choiice la..jus hope that when exams dun gastriic or stomache can liiao cos gastriic iish berrii paiinfull..when yooh stand then der muscles wiill keep on pulliing..jus iimagiine..pulliin ur stomache..omg..iish jus shoo paiin lor..then can onlii liie down..haii...
2:58 PM
hahas..todae went tu sentosa
Sunday, September 25, 2005
haii..todae went tu sentosa wiit mabel,,yiiqii and elena..then we went tu der beach..and draw der names of der ppl we liike..hahas..shoo fuuny..then take piictures lor..then we went tu sat der chairliift..shoo exciiitiing..shoo scary..fer mii la..cos ii berrii scared siitiing on a chaiir then shoo hiigh..then mii and elena some more wear skiirt..even worse siia..gt ''tiiko pek'' downstaiirs looked up..haii..''tiiko means tiiko''..haha..then berrii late liiao then we go home lor.. ![]() ![]() ![]() ![]()
9:57 PM
saw an stoopiid iidoiitic pervert..
yesterdae went out wiit mabel,,yiiqii and seeyii..go tu mabel hse tu waiit fer seeyii..thn at niight when goiin home..a indiian guy siit besiide mabel..thn keep on siingiing and siingiing..shoo funny..ii laugh untiill ii almost....hahas..then yiiqii asked mii why ii laughiing..thn ii told her der man siiao siiao der lor..then seeyii siit iin front of us but she faces at us then der iindiian man wan tu ake her piicture leh..wah..thn seeyii turn bck then siit usual way lor..then after yiiqii get off der bus..then about dunno one or two stops then he get down..then we was..''heng arhx''..haha..thn mabel sae he keep moviin near her lor..wah lao..then keep on lookiin at mii..then smiile..siiao der lor..then later go out agaiin..hahas...
11:06 AM
haii..todae headache..went home early..
Friday, September 23, 2005
haii..yesterdae nebber slp properly..make mahh head todae shoo der paiin..then hiistory lesson shoo der siian lor..and mahh head shoo paiin..dun even noe wad der cher tokiin abt..then after that liiterature then mii,,mabel,,yiiqii and dunno whu take der dunno wad test..cos der other tiime we all ''pontent''..haha..shoo bad hoh..no la..actuall that tiime iish after der camp...then shoo tiired tu go tu school mars..so we ''pontent lor''..lols..then after that recess..ii go down offiice call marmmiie lor..then waiit fer der dm cos he go tu meetiin..waiit shoo lon leh..then go and packet riice cos hungry..then waiit er der bus shoo long then ii walk home liiao..then twelve then reach home..then on com then go bath..thn go eat lor..haha..
=====
# PBE LaPO4, relaxed
# ΔH_f (0 K): -20.82 eV/f.u.
# size of the total moment: 0.0 μB per cell
# E (MP2020): -8.494 eV/atom
data_LaPO4
_chemical_formula_sum 'La4 P4 O16'
_symmetry_space_group_name_H-M 'P n m a'
_symmetry_Int_Tables_number 62
_cell_length_a 7.422
_cell_length_b 5.281
_cell_length_c 9.221
_cell_angle_alpha 90.00
_cell_angle_beta 90.00
_cell_angle_gamma 90.00
loop_
_symmetry_equiv_pos_as_xyz
'x,y,z'
'-x,-y,-z'
'-x+1/2,-y,z+1/2'
'x+1/2,y,-z+1/2'
'x+1/2,-y+1/2,-z+1/2'
'-x+1/2,y+1/2,z+1/2'
'-x,y+1/2,-z'
'x,-y+1/2,z'
loop_
_atom_site_label
_atom_site_fract_x
_atom_site_fract_y
_atom_site_fract_z
La1 0.021 0.250 0.193
P1 0.245 0.250 0.580
O1 0.041 0.750 0.084
O2 0.182 0.007 0.658
O3 0.195 0.250 0.417


[1]
A plane-wave DFT calculation with GGA+U was carried out for crystalline La7SmCo6Cu2O24 at its relaxed geometry.

formation enthalpy at 0 K = -2.49 eV per atom
final energy = -7.05 eV per atom
space-group type = No. 35

a b c (Å): 7.684 7.684 7.631
angles (deg): 90.00 90.00 90.10
Sites, in units of the cell vectors:
O 0.752 0.996 0.503
La 0.500 0.500 0.249
O 0.751 0.505 0.500
O 0.002 0.246 0.998
Co 0.751 0.751 0.501
O 0.498 0.250 0.999
Co 0.751 0.249 0.000
O 0.248 0.004 0.503
O 0.004 0.248 0.503
O 0.750 0.750 0.251
O 0.998 0.754 0.998
Cu 0.250 0.750 0.500
La 0.500 0.000 0.750
O 0.753 0.753 0.749
O 0.249 0.751 0.246
O 0.751 0.249 0.246
O 0.996 0.752 0.503
La 0.500 0.000 0.250
O 0.246 0.002 0.998
O 0.249 0.495 0.500
O 0.495 0.249 0.500
O 0.753 0.247 0.754
O 0.505 0.751 0.500
O 0.247 0.753 0.754
Co 0.249 0.751 0.000
Co 0.250 0.250 0.000
Co 0.249 0.249 0.501
Co 0.750 0.750 0.000
O 0.247 0.247 0.749
O 0.754 0.998 0.998
La 0.000 0.500 0.750
Sm 0.000 0.000 0.752
O 0.750 0.502 0.999
O 0.250 0.250 0.251
O 0.502 0.750 0.999
Cu 0.750 0.250 0.500
O 0.250 0.498 0.999
La 0.000 0.500 0.250
La 0.500 0.500 0.750
La 0.000 0.000 0.250


[2]
A plane-wave DFT calculation with GGA+U was carried out for crystalline La7SmCo5Cu3O20 at its relaxed geometry.

formation enthalpy at 0 K = -2.34 eV per atom
final energy = -6.90 eV per atom
space-group type = No. 1

a b c (Å): 10.779 11.389 17.934
angles (deg): 108.45 107.46 89.99
Sites, in units of the cell vectors:
La 0.944 0.703 0.889
O 0.620 0.621 0.487
O 0.135 0.385 0.016
Co 0.255 0.251 0.001
O 0.133 0.381 0.513
O 0.622 0.121 0.989
O 0.620 0.618 0.984
O 0.843 0.280 0.143
O 0.868 0.613 0.985
La 0.559 0.294 0.111
O 0.920 0.569 0.750
O 0.336 0.283 0.637
O 0.672 0.929 0.251
Cu 0.504 0.000 0.001
Cu 0.754 0.751 0.002
O 0.620 0.119 0.487
O 0.382 0.884 0.012
O 0.414 0.570 0.243
La 0.693 0.933 0.388
O 0.118 0.119 0.986
O 0.418 0.074 0.750
O 0.669 0.428 0.250
O 0.954 0.386 0.854
O 0.880 0.383 0.009
Sm 0.054 0.793 0.110
O 0.951 0.385 0.354
La 0.943 0.206 0.889
Co 0.859 0.906 0.751
O 0.632 0.878 0.512
La 0.194 0.433 0.388
La 0.054 0.295 0.112
O 0.370 0.616 0.989
Co 0.855 0.403 0.749
Cu 0.003 0.999 0.002
Co 0.109 0.098 0.751
O 0.454 0.885 0.855
O 0.120 0.620 0.487
Co 0.610 0.594 0.752
Co 0.255 0.250 0.500
=====
== The data records stop here ==
12:30 PM
stoopiid der leh..go and play der KOTEX..
Thursday, September 22, 2005
tUeS..20 sept 05 wah lao..der dunno whu go and play KOTEX..a few daes ago..duriin der art lesson..berrii wad leh..go and paste on mahh table..stoopiid leh..iif let mii noe hoh..der person sure diie diie der lor..go and play that type of thiings..nth tu play iish iit..berrii fun iish iit..touch KOTEX..yooh sure berrii ''SWAY'' der lor.. wEd..21 sept 05 go tu mabel der hse after school lor..then elena they all wan tu come then mabel they all already book mii liiao..so ii go tu mabel der hse lor..then go lot one mabel they all buy nasii lemark tu eat..then take 190 tu mabel der hse..then reach mabel der hse liiao..ii eat fiirst..then after we all eat fiiniish liiao..yiiqii sae she stiill hungry..then ii sae ii cook noodle fer her tu eat..then ii cook fer yiiqii and miich tu eat lor..haha..cook fiiniish liiao..wash der pot,,bowls all lor..thn we went tu yahoo search fer der toys then all der pervert der thinngs come out leh..haha..laugh liike mad lor..then miich fall alsleep..thn dun diisturb her lor..then after that ii take bus go home lor.. thu..22 sept 05 haha..nw at school lor.iit lesson lor..at fiirst dun wan come der..then xiiao jiie go home liiao then ii go iit lesson lor..use der com..haha..sae three daes der thiing at one go..so funny..todae nothiin much lor.as usual lor..ms siitii noe ii xiiao jiie der sista..call mii joseph's siista..ii surpriised lor..how she noe der..haha..
3:46 PM
hmm..change tagboard ler..
Friday, September 16, 2005
ii change becos mahh old one berrii ugly lor..haha..no lar..ii prefer others..ii saw alot of ppl usiin mahh..then sometiimes der cbox siiao siiao der..so nt save...hmm..thks tu mabel,,yiiqii and miichelle that they told mii abt..hmm..secret lar..but ii am happy they help mii..''xiie xiie nii men'' ..ii noe maybe sometiimes ii siiao siiao der..ii hope can be as usual lor..everybody oso wiill do wrong thiings der mars..all else how tu learn frm wrong..hmm...tomolo goiin out wiit them..thiis yr der lantern festiival so boriin der..haii..nw nebber play wad candles arh..fiireworks arh..last tiime so happy gt mhh brother..xiiao ken they all we play together.ii stiill remem der ziipoo..haha..that one so fun seh..hope dae can pass fast..exams comiin soon der..oct 7 start liiao..so siian iish that hiistory paper iish gona be on maybe der fiirst few daes bah..and hiistory so diifiicult tu learn..haii..hope can pass all subjects then ii happy liiao..haha..anyway everybody mus jiia you ler..jiia you..
10:36 PM
long tiime no see..haha..
Wednesday, September 14, 2005
hmm..ii gt a few tiimes wana post somethiing but lazy lor..hmm..tok abt saturdae bah..haha..ii went tu plaza saw superstar..wah sehh..they all hoh..aiiya..dunno how tu sae..come fer 40 miinutes plus onlii..then after that ii went tu iimm tu meet esther..go see jj liin jun jiie..yooh noe speciial guest iish jun yang leh..lucky ii gt go there haha..then 24 sep they comiin tu tiiong bahru plaza...maybe goiin wiit wan jun lor..cos she ask mii tu go wan mars..but iif she nebber go then ii oso nebber go lor cos one person berrrii lonely..der other tiime go myself already quiite loney ler..but can take theiir viideos and piics nt bad liiao lor..haha..
6:44 PM
hmm..der daes ii had iish gona be more and more quiiet..
Friday, September 09, 2005
haii..these few daes oso nebber onliine liiao..mahh brother keep on usiin..then der niights ii went to mahh ''biiao meii'' der house lor..cos so boriin..mahh two gan jiie or now not workkiin at bata ler..one work at far east one at lot one..haii..these daes hab them mahh daes went fast..now iish liike last tiime ler..beiin all alone ler..haii..sometiimes realii feel berrii bored lor..they make mahh daes happy..ii feel that lst tiime iim nt so happy and carefree der..they realii liike mahh real jie jie..haha..hmm..superstar comiin to bukiit pangjang tomolo..goiin there tomolo..berrii ''xiin fen'' worrx..haha..can see them agaiin..haii..hope thiis tiime can take theiir piic carefully..der other tiime alot of securiity guard blockiin and so blur..haii..mahh ''jii shu'' nt good..haha..and so many ppl go there der all so tall wan..cant even see..haii..but stiill can see when they go toliiet..standiin iinfront of mii leh..haha..so happy then..hmm..''hen qii daii miing tiian der ta men''..yeah..
3:06 PM
hard tiime catchiing a bee..
Saturday, September 03, 2005
haii..jus now ii was chattiing half way..then goes a 'buzziing' sound..so 'fan'..and ii afraiid of bees..see them ii would wan to go away..then keep on catchiing and catchiing..then suddendly iit fly down..wah..berrii der scarry leh..then ii keep on shoutiing..''arh..go away..go away..''haha..'hen diiu liian' hoh..haha..then ii go outsiide call mahh daddy fer help..he ask mii go take plastiic bag then he stand on mahh bed then caught der bee ler..yeah..haii..''song ler yii kou qii''haha..mahh brother oso dun care abt mii der..haha..he watchiing iiniidiial d..hmm..afternoon go school and meet peiiyiing go and take der d3 games der thiings..then sae esther and weii jiie..then go senja grand eat eat lor..then saw chap cheng they all..then weii jiie siit wiit them lor..then left mii peiiyiing and esther..then suddenly raiin then peiiyiing berrii angry when der raiin keep on comiin iin..haha..then we shiift our place then siit iinsiide lor..after eat liiao we go esther house then too bad her san meii not at home..haii..so sad..haha..then after that esther ask mii wan go watch moviie mars..then okiie lor go clemetii watch..seben dollars onlii leh..der serviice not so good lor..but at least cheaper..haha..der show so touchiing..mahh tears fell..haha..
10:00 PM
kelly lost yesterdae..
Friday, September 02, 2005
haii..der wiinner at der last iish stiill weii liian..why..why..ii cant understand..kelly performed well last niite but why she iish not der wiinner..and when der both grps shout der cheer..kelly's supporters cheers are mpre acurate that means her fans are more but why iish she still not der wiinner..no choiice lar..maybe becos of all these thats why hiis fans are even more stonger..keep on calliing lor..wonderiing iif jun yang wiill come out cd nt leh..yesterdae wah..der guardian angel and der duet wiit xiin huey wu diind..so niice leh..then kelly and jj liin siing der mu na yii and beii feng chuii guo der xiia tiian..iish marverlous leh..so so niice..iif jun yang come out cd surely alot of ppl go and buy der..but ii thiink mus waiit lor..he wiill surely come out cd but nt so fast onlii lor..anyway at least kelly stiill can sign under uniiversal musiic stiill nt bad lar..better than nothiing lor..correct hoh..hahas..
2:05 PM